Could you retype the whole of the listing further down exactly?

+++
[1]
Compound: Eu2MgS4
Source: the Materials Project database
Functional: PBE
Structure: relaxed

Results
The energy of formation from the pure elements is -1.80 eV/atom.

Cell lengths 13.0704, 7.7978, 12.7829 Å; angles 90.00, 90.00, 90.00 degrees
Closest atoms and distances in Å follow each position.
Positions (direct):
Eu: 0.1087 0.1145 0.0000  6 S 2.74-2.83
Eu: 0.1259 0.6161 0.6406  6 S 2.76-2.83
Eu: 0.1352 0.3685 0.3087  7 S 2.82-3.08
Eu: 0.1363 0.8700 0.3075  7 S 2.81-3.08
Eu: 0.3637 0.8700 0.8075  7 S 2.81-3.08
Eu: 0.3648 0.3685 0.8087  7 S 2.82-3.08
Eu: 0.3741 0.6161 0.1406  6 S 2.76-2.83
Eu: 0.3913 0.1145 0.5000  6 S 2.74-2.83
Eu: 0.6087 0.8855 0.0000  6 S 2.74-2.83
Eu: 0.6259 0.3839 0.6406  6 S 2.76-2.83
Eu: 0.6352 0.6315 0.3087  7 S 2.82-3.08
Eu: 0.6363 0.1300 0.3075  7 S 2.81-3.08
Eu: 0.8637 0.1300 0.8075  7 S 2.81-3.08
Eu: 0.8648 0.6315 0.8087  7 S 2.82-3.08
Eu: 0.8741 0.3839 0.1406  6 S 2.76-2.83
Eu: 0.8913 0.8855 0.5000  6 S 2.74-2.83
Mg: 0.1106 0.6161 0.0078  5 S 2.51-2.78
Mg: 0.1253 0.1213 0.6357  4 S 2.50-2.68
Mg: 0.3747 0.1213 0.1357  4 S 2.50-2.68
Mg: 0.3894 0.6161 0.5078  5 S 2.51-2.78
Mg: 0.6106 0.3839 0.0078  5 S 2.51-2.78
Mg: 0.6253 0.8787 0.6357  4 S 2.50-2.68
Mg: 0.8747 0.8787 0.1357  4 S 2.50-2.68
Mg: 0.8894 0.3839 0.5078  5 S 2.51-2.78
S: 0.0104 0.1169 0.1953  1 Mg 2.68, 4 Eu 2.81-2.93
S: 0.0216 0.6289 0.1856  2 Mg 2.56-2.81, 1 Eu 2.77
S: 0.0259 0.6150 0.4460  1 Mg 2.66, 3 Eu 2.81-2.97
S: 0.0438 0.1274 0.4562  1 Mg 2.53, 1 Eu 2.80
S: 0.2083 0.1188 0.8117  1 Mg 2.50, 1 Eu 2.74
S: 0.2094 0.6187 0.8394  1 Mg 2.51, 1 Eu 2.77
S: 0.2315 0.8630 0.0871  2 Mg 2.69-2.82, 2 Eu 2.76-2.77
S: 0.2352 0.3607 0.0908  2 Mg 2.67-2.78, 2 Eu 2.77-2.79
S: 0.2648 0.3607 0.5908  2 Mg 2.67-2.78, 2 Eu 2.77-2.79
S: 0.2685 0.8630 0.5871  2 Mg 2.69-2.82, 2 Eu 2.76-2.77
S: 0.2906 0.6187 0.3394  1 Mg 2.51, 1 Eu 2.77
S: 0.2917 0.1188 0.3117  1 Mg 2.50, 1 Eu 2.74
S: 0.4562 0.1274 0.9562  1 Mg 2.53, 1 Eu 2.80
S: 0.4741 0.6150 0.9460  1 Mg 2.66, 3 Eu 2.81-2.97
S: 0.4784 0.6289 0.6856  2 Mg 2.56-2.81, 1 Eu 2.77
S: 0.4896 0.1169 0.6953  1 Mg 2.68, 4 Eu 2.81-2.93
S: 0.5104 0.8831 0.1953  1 Mg 2.68, 4 Eu 2.81-2.93
S: 0.5216 0.3711 0.1856  2 Mg 2.56-2.81, 1 Eu 2.77
S: 0.5259 0.3850 0.4460  1 Mg 2.66, 3 Eu 2.81-2.97
S: 0.5438 0.8726 0.4562  1 Mg 2.53, 1 Eu 2.80
S: 0.7083 0.8812 0.8117  1 Mg 2.50, 1 Eu 2.74
S: 0.7094 0.3813 0.8394  1 Mg 2.51, 1 Eu 2.77
S: 0.7315 0.1370 0.0871  2 Mg 2.69-2.82, 2 Eu 2.76-2.77
S: 0.7352 0.6393 0.0908  2 Mg 2.67-2.78, 2 Eu 2.77-2.79
S: 0.7648 0.6393 0.5908  2 Mg 2.67-2.78, 2 Eu 2.77-2.79
S: 0.7685 0.1370 0.5871  2 Mg 2.69-2.82, 2 Eu 2.76-2.77
S: 0.7906 0.3813 0.3394  1 Mg 2.51, 1 Eu 2.77
S: 0.7917 0.8812 0.3117  1 Mg 2.50, 1 Eu 2.74
S: 0.9562 0.8726 0.9562  1 Mg 2.53, 1 Eu 2.80
S: 0.9741 0.3850 0.9460  1 Mg 2.66, 3 Eu 2.81-2.97
S: 0.9784 0.3711 0.6856  2 Mg 2.56-2.81, 1 Eu 2.77
S: 0.9896 0.8831 0.6953  1 Mg 2.68, 4 Eu 2.81-2.93


[2]
Compound: ErMgSe3
Source: the Materials Project database
Functional: PBE
Structure: relaxed

Results
The energy of formation from the pure elements is -1.39 eV/atom.

Cell lengths 7.3665, 7.3665, 6.9284 Å; angles 103.35, 103.35, 120.38 degrees
Closest atoms and distances in Å follow each position.
Positions (direct):
Er: 0.1947 0.1947 0.3185  4 Se 2.70-2.71
Er: 0.8053 0.8053 0.6815  4 Se 2.70-2.71
Mg: 0.3362 0.6638 0.0000  6 Se 2.67-2.92
Mg: 0.6638 0.3362 0.0000  6 Se 2.67-2.92
Se: 0.1222 0.7790 0.2149  2 Mg 2.70-2.92, 1 Er 2.71
Se: 0.2210 0.8778 0.7851  2 Mg 2.70-2.92, 1 Er 2.71
Se: 0.4682 0.4682 0.7461  2 Mg 2.67, 2 Er 2.70-2.71
Se: 0.5318 0.5318 0.2539  2 Mg 2.67, 2 Er 2.70-2.71
Se: 0.7790 0.1222 0.2149  2 Mg 2.70-2.92, 1 Er 2.71
Se: 0.8778 0.2210 0.7851  2 Mg 2.70-2.92, 1 Er 2.71


[3]
Compound: EuAlF5
Source: the Materials Project database
Functional: PBE
Structure: relaxed

Results
The energy of formation from the pure elements is -3.98 eV/atom.

Cell lengths 16.0564, 16.0564, 16.0564 Å; angles 101.84, 101.84, 126.14 degrees
+++

[1]
Compound: Eu2MgS4
Source: the Materials Project database
Functional: PBE
Structure: relaxed

Results
The energy of formation from the pure elements is -1.80 eV/atom.

Cell lengths 13.0704, 7.7978, 12.7829 Å; angles 90.00, 90.00, 90.00 degrees
Closest atoms and distances in Å follow each position.
Positions (direct):
Eu: 0.1087 0.1145 0.0000  6 S 2.74-2.83
Eu: 0.1259 0.6161 0.6406  6 S 2.76-2.83
Eu: 0.1352 0.3685 0.3087  7 S 2.82-3.08
Eu: 0.1363 0.8700 0.3075  7 S 2.81-3.08
Eu: 0.3637 0.8700 0.8075  7 S 2.81-3.08
Eu: 0.3648 0.3685 0.8087  7 S 2.82-3.08
Eu: 0.3741 0.6161 0.1406  6 S 2.76-2.83
Eu: 0.3913 0.1145 0.5000  6 S 2.74-2.83
Eu: 0.6087 0.8855 0.0000  6 S 2.74-2.83
Eu: 0.6259 0.3839 0.6406  6 S 2.76-2.83
Eu: 0.6352 0.6315 0.3087  7 S 2.82-3.08
Eu: 0.6363 0.1300 0.3075  7 S 2.81-3.08
Eu: 0.8637 0.1300 0.8075  7 S 2.81-3.08
Eu: 0.8648 0.6315 0.8087  7 S 2.82-3.08
Eu: 0.8741 0.3839 0.1406  6 S 2.76-2.83
Eu: 0.8913 0.8855 0.5000  6 S 2.74-2.83
Mg: 0.1106 0.6161 0.0078  5 S 2.51-2.78
Mg: 0.1253 0.1213 0.6357  4 S 2.50-2.68
Mg: 0.3747 0.1213 0.1357  4 S 2.50-2.68
Mg: 0.3894 0.6161 0.5078  5 S 2.51-2.78
Mg: 0.6106 0.3839 0.0078  5 S 2.51-2.78
Mg: 0.6253 0.8787 0.6357  4 S 2.50-2.68
Mg: 0.8747 0.8787 0.1357  4 S 2.50-2.68
Mg: 0.8894 0.3839 0.5078  5 S 2.51-2.78
S: 0.0104 0.1169 0.1953  1 Mg 2.68, 4 Eu 2.81-2.93
S: 0.0216 0.6289 0.1856  2 Mg 2.56-2.81, 1 Eu 2.77
S: 0.0259 0.6150 0.4460  1 Mg 2.66, 3 Eu 2.81-2.97
S: 0.0438 0.1274 0.4562  1 Mg 2.53, 1 Eu 2.80
S: 0.2083 0.1188 0.8117  1 Mg 2.50, 1 Eu 2.74
S: 0.2094 0.6187 0.8394  1 Mg 2.51, 1 Eu 2.77
S: 0.2315 0.8630 0.0871  2 Mg 2.69-2.82, 2 Eu 2.76-2.77
S: 0.2352 0.3607 0.0908  2 Mg 2.67-2.78, 2 Eu 2.77-2.79
S: 0.2648 0.3607 0.5908  2 Mg 2.67-2.78, 2 Eu 2.77-2.79
S: 0.2685 0.8630 0.5871  2 Mg 2.69-2.82, 2 Eu 2.76-2.77
S: 0.2906 0.6187 0.3394  1 Mg 2.51, 1 Eu 2.77
S: 0.2917 0.1188 0.3117  1 Mg 2.50, 1 Eu 2.74
S: 0.4562 0.1274 0.9562  1 Mg 2.53, 1 Eu 2.80
S: 0.4741 0.6150 0.9460  1 Mg 2.66, 3 Eu 2.81-2.97
S: 0.4784 0.6289 0.6856  2 Mg 2.56-2.81, 1 Eu 2.77
S: 0.4896 0.1169 0.6953  1 Mg 2.68, 4 Eu 2.81-2.93
S: 0.5104 0.8831 0.1953  1 Mg 2.68, 4 Eu 2.81-2.93
S: 0.5216 0.3711 0.1856  2 Mg 2.56-2.81, 1 Eu 2.77
S: 0.5259 0.3850 0.4460  1 Mg 2.66, 3 Eu 2.81-2.97
S: 0.5438 0.8726 0.4562  1 Mg 2.53, 1 Eu 2.80
S: 0.7083 0.8812 0.8117  1 Mg 2.50, 1 Eu 2.74
S: 0.7094 0.3813 0.8394  1 Mg 2.51, 1 Eu 2.77
S: 0.7315 0.1370 0.0871  2 Mg 2.69-2.82, 2 Eu 2.76-2.77
S: 0.7352 0.6393 0.0908  2 Mg 2.67-2.78, 2 Eu 2.77-2.79
S: 0.7648 0.6393 0.5908  2 Mg 2.67-2.78, 2 Eu 2.77-2.79
S: 0.7685 0.1370 0.5871  2 Mg 2.69-2.82, 2 Eu 2.76-2.77
S: 0.7906 0.3813 0.3394  1 Mg 2.51, 1 Eu 2.77
S: 0.7917 0.8812 0.3117  1 Mg 2.50, 1 Eu 2.74
S: 0.9562 0.8726 0.9562  1 Mg 2.53, 1 Eu 2.80
S: 0.9741 0.3850 0.9460  1 Mg 2.66, 3 Eu 2.81-2.97
S: 0.9784 0.3711 0.6856  2 Mg 2.56-2.81, 1 Eu 2.77
S: 0.9896 0.8831 0.6953  1 Mg 2.68, 4 Eu 2.81-2.93


[2]
Compound: ErMgSe3
Source: the Materials Project database
Functional: PBE
Structure: relaxed

Results
The energy of formation from the pure elements is -1.39 eV/atom.

Cell lengths 7.3665, 7.3665, 6.9284 Å; angles 103.35, 103.35, 120.38 degrees
Closest atoms and distances in Å follow each position.
Positions (direct):
Er: 0.1947 0.1947 0.3185  4 Se 2.70-2.71
Er: 0.8053 0.8053 0.6815  4 Se 2.70-2.71
Mg: 0.3362 0.6638 0.0000  6 Se 2.67-2.92
Mg: 0.6638 0.3362 0.0000  6 Se 2.67-2.92
Se: 0.1222 0.7790 0.2149  2 Mg 2.70-2.92, 1 Er 2.71
Se: 0.2210 0.8778 0.7851  2 Mg 2.70-2.92, 1 Er 2.71
Se: 0.4682 0.4682 0.7461  2 Mg 2.67, 2 Er 2.70-2.71
Se: 0.5318 0.5318 0.2539  2 Mg 2.67, 2 Er 2.70-2.71
Se: 0.7790 0.1222 0.2149  2 Mg 2.70-2.92, 1 Er 2.71
Se: 0.8778 0.2210 0.7851  2 Mg 2.70-2.92, 1 Er 2.71


[3]
Compound: EuAlF5
Source: the Materials Project database
Functional: PBE
Structure: relaxed

Results
The energy of formation from the pure elements is -3.98 eV/atom.

Cell lengths 16.0564, 16.0564, 16.0564 Å; angles 101.84, 101.84, 126.14 degrees